Infosys Equinox App Marketplace allows apps to register for asynchronous webhooks (for any of the events on the platform), and apps can register for pre-defined scopes (microservices and associated roles) to call back Infosys Equinox Microservices APIs.
Asynchronous Webhooks
Webhooks notify applications when specific events occur on Infosys Equinox Microservices. Apps can register for webhooks to get notified about the events (async) occurring on the platform.
Step 1: Webhook Configuration
Here is the sample webhook configuration:
URL | App hosted endpoint |
Webhook Type | ASYNC |
Priority | Normal or High |
Events | Refer to the list of all the events on the platform available across microservices. |
Note: Apps can be configured for multiple webhooks. There is no restriction on the number of webhooks that can be configured for an app.
"webhooksConfig": [ { "url": "https://sampleurl.com/callback", "webhookType": "ASYNC", "priority": "Normal", "events": [ "catalogservice/product/create" ] } |
### Between two parts of the page: records of molecules
........
Entry 1:
........
Step 2: Validate Signature
Once the app has registered for async webhooks, it will be notified when events occur on the platform. To view the event payload, the app has to perform signature verification. Below are the steps to fetch the app secret stored for the app and use it to generate the signature for the payload received:
- Fetch the app secret for the app ID, which is included in the payload.
- Generate the signature using the calculateHMACSHA256 function. It takes the event payload and app secret as parameters.
- The verifySignature function validates the signature received in the payload header against the generated signature.
- If there is a mismatch, it returns an authentication failure response.
Functions included – CommonUtils
- verifySignature(event, signatureReceived, apiSecret)
- calculateHMACSHA256(event, secretKey)
App Callback
Step 1: Configure for the App Scopes
Identify the callbacks (that are required from the app) to be updated to Equinox APIs and configure them as app scopes in the app for generating callback access tokens. Provide the link to the list of app scopes on the platform.
Step 2: Get Access Token for Callback
For getting the auth token via Authorize Lambda:
- Things Third-Party App should know:
- Authorize Lambda Endpoint
- App ID
- App Version
- Store ID ( on which App is installed)
- Base URL of the App
- State and Nonce (optional)
- expiryTime (should be 5 seconds after the current time)
- Request to Authorize Lambda should have the following:
Header: signature (requestBody encoded with the app secret)
Request Body:
{ "storeId": "11", "appId": "653906ec170e703d543dbf3f", "appVersion": "8.16.0", "baseUrl": "https: //8jr9vvcqgi.execute-api.us-east-1.amazonaws.com", "expireTime": 1699260660745, "nonce": "nonce", "state": "state" } |
- Required Step: to get the app secret, copy the app secret manually or subscribe for webhooks:
{ "entity": "app", "url": "domain/appSecretEventListener", "webhookType": "ASYNC", "events": [ "appmarketplaceservices/generateapikeyandsecret/create" ] } |
- To get the store ID when the app is installed in the store, subscribe to webhooks:
{ "entity": "app", "url": "doamin/appInstallationListener", "webhookType": "ASYNC", "events": [ "appmarketplaceservices/apps/updateinstallation" ] } |
- Call Authorize Lambda with:
Header: signature (requestBody encoded with the app secret)
Request Body:
{ "storeId": "", "appId": "", "appVersion": "", "baseUrl": "", "expireTime":"", "nonce": "", "state": "" } |
The following diagram depicts the asynchronous webhooks workflow of App Marketplace: Note: For the list of events and its payload of all microservices, see Events and its Payload.
Webhooks Payload Verification
A signature is a response generated when the payload body is encoded with the App Secret Key.
Serverless apps should store their app secret, generated when the app is created in the Infosys Equinox App Marketplace.
Receive the signature: Check if you received a signature in the header section or not. The non-availability of the signature means the app secret is not present for that app.
Extract signature and data: If the signature is present when the receiver receives the webhook data, extract both the data from the body and the received signature from the headers.
Calculate the signature: Use the calculate HMACSHA256 function to calculate the signature based on the received data and the app secret key.
Compare the Signature: Compare the received signature with the calculated signature. If they match, the data is not tampered with, and the sender is verified.
The following table describes the sample payload and code snippet:
Field | Description |
payload | { |
code snippet | import CryptoJS from 'crypto-js'; |
List of Events in All Microservices
Refer to the list of all the events on the platform available across microservices:
- Events – Accounts
- Events – App Marketplace
- Events – Address
- Events – Authorization
- Events – Cart
- Events – Catalog
- Events – Customers (User)
- Events – Feed Job
- Events – Feeds
- Events – Foundation
- Events – Inventory
- Events – Lists
- Events – Location
- Events – Loyalty
- Events – Merchandising
- Events – Notification
- Events – Order
- Events – Payment
- Events – Pricing
- Events – Promotions
- Events – Ratings and Reviews
- Events – Reporting
- Events – Search
- Events – Shipping
DFT (the ωB97M-V functional and the def2-TZVPD basis) results for 5 unconnected molecules or ions with the total composition C24H39Cl2N3O8P in a non-equilibrium geometry.

Each line ends with the Mulliken charge.
Positions of all 77 atoms, in Å:
C 3.7542 3.6272 1.2941  -0.749
C 3.1919 3.9556 -0.2090  0.111
Cl 3.4350 5.6611 -0.9064  -0.171
C 2.5005 2.9060 -1.0003  -0.301
Cl 1.8480 3.4276 -2.6916  -0.276
C 2.2225 1.3543 -0.5707  0.768
P 0.4273 0.7522 -0.2497  0.297
C -0.1462 1.0746 1.5425  -0.705
C -0.8202 1.4646 -1.5070  -0.798
C 2.5584 0.5624 -2.0063  -0.767
N 3.2316 -0.7701 -1.6195  -0.458
C 2.9090 -0.8579 -0.1196  0.206
N 2.4540 -1.9164 0.6271  -0.099
N 3.1964 0.5969 0.3013  -0.442
H 4.4040 4.5747 1.6191  0.327
H 2.9334 3.4642 2.1120  0.237
H 4.5441 2.7341 1.2404  0.204
H -1.3335 1.1010 1.5335  0.300
H 0.3223 2.0649 1.9543  0.337
H 0.2050 0.1428 2.1887  0.091
H -0.6322 1.1662 -2.6227  0.320
H -1.8904 1.0203 -1.2251  0.215
H -0.9475 2.6446 -1.4188  0.310
H 3.4944 1.1201 -2.4956  0.435
H 1.6371 0.3270 -2.6903  0.244
H 4.2675 -0.6051 -1.6312  0.359
H 1.8087 -1.8358 1.4685  0.202
H 2.7007 -2.9123 0.3441  0.278
H 4.2245 0.7410 0.1228  0.368
O 3.0242 -5.3877 1.5814  -0.635
C 2.7543 -5.1553 2.7481  0.470
O 1.5342 -5.3847 3.3164  -0.343
C 1.5430 -4.8969 4.6572  -0.116
C 2.9954 -4.8504 5.0540  -0.596
C 3.6844 -4.5400 3.7493  -0.257
H 1.0762 -3.9065 4.6717  0.016
H 0.9663 -5.5701 5.2983  0.340
H 3.2031 -4.1223 5.8426  0.345
H 3.3140 -5.8370 5.4119  0.282
H 3.7445 -3.4634 3.5669  0.201
H 4.6753 -4.9974 3.7002  0.309
O -2.4973 7.1537 -5.9110  -0.578
C -1.3763 6.8686 -5.5232  0.455
O -1.1132 6.1287 -4.4063  -0.339
C 0.2972 6.0847 -4.1953  0.602
C 0.9099 6.3774 -5.5398  -0.565
C -0.0961 7.3104 -6.1651  -0.358
H 0.5619 6.8373 -3.4451  0.252
H 0.5837 5.0969 -3.8227  -0.491
H 1.9156 6.8004 -5.4717  0.351
H 0.9702 5.4542 -6.1290  0.276
H 0.0958 8.3535 -5.8988  0.250
H -0.1364 7.1883 -7.2499  0.282
O -0.5087 -1.8556 4.4696  -0.628
C -1.6214 -1.8594 3.9694  0.521
O -1.9268 -2.4477 2.7757  -0.290
C -3.2864 -2.1645 2.4484  -0.219
C -3.9502 -1.8323 3.7591  -0.496
C -2.8334 -1.1883 4.5411  -0.429
H -3.3089 -1.3244 1.7463  0.106
H -3.7403 -3.0377 1.9709  0.255
H -4.8302 -1.1936 3.6463  0.336
H -4.2643 -2.7559 4.2604  0.298
H -2.7702 -0.1134 4.3502  0.230
H -2.9264 -1.3872 5.6112  0.330
O -6.3910 -4.3695 -0.6288  -0.587
C -5.4523 -3.7546 -1.1074  0.386
O -4.5371 -3.0544 -0.3750  -0.260
C -3.6499 -2.3738 -1.2612  -0.150
C -3.7335 -3.1266 -2.5633  -0.578
C -5.1596 -3.6163 -2.5707  -0.377
H -3.9829 -1.3352 -1.3593  0.165
H -2.6369 -2.3839 -0.8485  0.208
H -3.4767 -2.5143 -3.4318  0.338
H -3.0508 -3.9846 -2.5403  0.297
H -5.8410 -2.8785 -3.0033  0.256
H -5.2513 -4.5764 -3.0837  0.295

energy = -80691.9839 eV
net charge = +1
Kohn-Sham gap = 0.2458 Eh
HOMO level = -11.6109 eV
multiplicity = 1

----------

Entry 1:
ORCA calculation (ωB97M-V with the def2-TZVPD basis set) on a single C4H6F2S2 molecule.

XYZ file:
```
14
C4H6F2S2 ωB97M-V with the def2-TZVPD basis set
- Events – Storefront Orchestration
- Events – Subscription
- Events – Tax
Revision History
2024-05-20 | JP – Created the page and added the content.